Source =
+++
(1)
A plane-wave DFT calculation with PBEsol was carried out for a geometry-optimized KBr structure.

Output
VASP energy   -25.84 eV/cell
Size of the total moment   0.00 μB/f.u.
Energy relative to the elements, uncorrected   -1729 meV/atom

The structure in CIF format:
```
data_KBr
_chemical_formula_sum 'K4 Br4'
_symmetry_space_group_name_H-M 'F m -3 m'
_symmetry_Int_Tables_number 225
_symmetry_space_group_name_Hall '-F 4 2 3'
_cell_length_a 6.540
_cell_length_b 6.540
_cell_length_c 6.540
_cell_angle_alpha 90.00
_cell_angle_beta 90.00
_cell_angle_gamma 90.00
loop_
_atom_site_label
_atom_site_type_symbol
_atom_site_fract_x
_atom_site_fract_y
_atom_site_fract_z
K1 K 0.000 0.000 0.000
Br1 Br 0.000 0.000 0.500
```

(2)
A plane-wave DFT calculation with PBEsol was carried out for a geometry-optimized KBr3 structure.

Output
VASP energy   -39.72 eV/cell
Size of the total moment   0.00 μB/f.u.
Energy relative to the elements, uncorrected   -797 meV/atom

The structure in CIF format:
```
data_KBr3
_chemical_formula_sum 'K4 Br12'
_symmetry_space_group_name_H-M 'C m c m'
_symmetry_Int_Tables_number 63
_symmetry_space_group_name_Hall '-C 2c 2'
_cell_length_a 10.401
_cell_length_b 17.785
_cell_length_c 5.375
_cell_angle_alpha 90.00
_cell_angle_beta 90.00
_cell_angle_gamma 90.00
loop_
_atom_site_label
_atom_site_type_symbol
_atom_site_fract_x
_atom_site_fract_y
_atom_site_fract_z
K1 K 0.000 0.168 0.250
Br1 Br 0.000 0.009 0.750
Br2 Br 0.236 0.246 0.750
```

(3)
A plane-wave DFT calculation with PBEsol was carried out for a geometry-optimized KBr structure.

Output
VASP energy   -37.07 eV/cell
Size of the total moment   0.00 μB/f.u.
Energy relative to the elements, uncorrected   -1587 meV/atom

The structure in CIF format:
```
data_KBr
_chemical_formula_sum 'K6 Br6'
_symmetry_space_group_name_H-M 'R -3 m'
_symmetry_Int_Tables_number 166
_symmetry_space_group_name_Hall '-R 3 2"'
_cell_length_a 5.4517
_cell_length_b 5.4517
_cell_length_c 23.5052
_cell_angle_alpha 90.00
_cell_angle_beta 90.00
_cell_angle_gamma 120.00
loop_
_atom_site_label
_atom_site_type_symbol
_atom_site_fract_x
_atom_site_fract_y
_atom_site_fract_z
K1 K 0.0000 0.0000 0.2328
Br1 Br 0.0000 0.0000 0.0958
```

(4)
A plane-wave DFT calculation with PBEsol was carried out for a geometry-optimized KBr3 structure.

Output
VASP energy   -20.48 eV/cell
Size of the total moment   0.00 μB/f.u.
Energy relative to the elements, uncorrected   -875 meV/atom

The structure in CIF format:
```
data_KBr3
_chemical_formula_sum 'K2 Br6'
_symmetry_space_group_name_H-M 'P m m n'
_symmetry_Int_Tables_number 59
_cell_length_a 6.571
_cell_length_b 8.219
_cell_length_c 5.849
_cell_angle_alpha 90.00
_cell_angle_beta 90.00
_cell_angle_gamma 90.00
loop_
_symmetry_equiv_pos_as_xyz
'x,y,z'
'-x,-y,-z'
'-x+1/2,-y+1/2,z'
'x+1/2,y+1/2,-z'
'x+1/2,-y,-z'
'-x+1/2,y,z'
'-x,y+1/2,-z'
'x,-y+1/2,z'
loop_
_atom_site_label
_atom_site_type_symbol
_atom_site_fract_x
_atom_site_fract_y
_atom_site_fract_z
K1 K 0.250 0.250 0.242
Br1 Br 0.250 0.063 0.742
Br2 Br 0.250 0.750 0.740
```

(5)
A plane-wave DFT calculation with PBEsol was carried out for a geometry-optimized K2Br structure.

Output
Excess energy over the best structure of this formula in the dataset   14 meV/atom
VASP energy   -29.52 eV/cell
Size of the total moment   0.00 μB/f.u.
Energy relative to the elements, uncorrected   -1081 meV/atom

The structure in CIF format:
```
data_K2Br
_chemical_formula_sum 'K8 Br4'
_symmetry_space_group_name_H-M 'C m c m'
_symmetry_Int_Tables_number 63
_symmetry_space_group_name_Hall '-C 2c 2'
_cell_length_a 4.604
_cell_length_b 18.769
_cell_length_c 6.661
_cell_angle_alpha 90.00
_cell_angle_beta 90.00
_cell_angle_gamma 90.00
loop_
_atom_site_label
_atom_site_type_symbol
_atom_site_fract_x
_atom_site_fract_y
_atom_site_fract_z
K1 K 0.000 0.071 0.250
K2 K 0.000 0.319 0.250
Br1 Br 0.000 0.303 0.750
```

(6)
A plane-wave DFT calculation with PBEsol was carried out for a geometry-optimized K2LaBr5 structure.

Output
+++
Brief =
Give back the whole of the material above unchanged.
Result =
(1)
A plane-wave DFT calculation with PBEsol was carried out for a geometry-optimized KBr structure.

Output
VASP energy   -25.84 eV/cell
Size of the total moment   0.00 μB/f.u.
Energy relative to the elements, uncorrected   -1729 meV/atom

The structure in CIF format:
```
data_KBr
_chemical_formula_sum 'K4 Br4'
_symmetry_space_group_name_H-M 'F m -3 m'
_symmetry_Int_Tables_number 225
_symmetry_space_group_name_Hall '-F 4 2 3'
_cell_length_a 6.540
_cell_length_b 6.540
_cell_length_c 6.540
_cell_angle_alpha 90.00
_cell_angle_beta 90.00
_cell_angle_gamma 90.00
loop_
_atom_site_label
_atom_site_type_symbol
_atom_site_fract_x
_atom_site_fract_y
_atom_site_fract_z
K1 K 0.000 0.000 0.000
Br1 Br 0.000 0.000 0.500
```

(2)
A plane-wave DFT calculation with PBEsol was carried out for a geometry-optimized KBr3 structure.

Output
VASP energy   -39.72 eV/cell
Size of the total moment   0.00 μB/f.u.
Energy relative to the elements, uncorrected   -797 meV/atom

The structure in CIF format:
```
data_KBr3
_chemical_formula_sum 'K4 Br12'
_symmetry_space_group_name_H-M 'C m c m'
_symmetry_Int_Tables_number 63
_symmetry_space_group_name_Hall '-C 2c 2'
_cell_length_a 10.401
_cell_length_b 17.785
_cell_length_c 5.375
_cell_angle_alpha 90.00
_cell_angle_beta 90.00
_cell_angle_gamma 90.00
loop_
_atom_site_label
_atom_site_type_symbol
_atom_site_fract_x
_atom_site_fract_y
_atom_site_fract_z
K1 K 0.000 0.168 0.250
Br1 Br 0.000 0.009 0.750
Br2 Br 0.236 0.246 0.750
```

(3)
A plane-wave DFT calculation with PBEsol was carried out for a geometry-optimized KBr structure.

Output
VASP energy   -37.07 eV/cell
Size of the total moment   0.00 μB/f.u.
Energy relative to the elements, uncorrected   -1587 meV/atom

The structure in CIF format:
```
data_KBr
_chemical_formula_sum 'K6 Br6'
_symmetry_space_group_name_H-M 'R -3 m'
_symmetry_Int_Tables_number 166
_symmetry_space_group_name_Hall '-R 3 2"'
_cell_length_a 5.4517
_cell_length_b 5.4517
_cell_length_c 23.5052
_cell_angle_alpha 90.00
_cell_angle_beta 90.00
_cell_angle_gamma 120.00
loop_
_atom_site_label
_atom_site_type_symbol
_atom_site_fract_x
_atom_site_fract_y
_atom_site_fract_z
K1 K 0.0000 0.0000 0.2328
Br1 Br 0.0000 0.0000 0.0958
```

(4)
A plane-wave DFT calculation with PBEsol was carried out for a geometry-optimized KBr3 structure.

Output
VASP energy   -20.48 eV/cell
Size of the total moment   0.00 μB/f.u.
Energy relative to the elements, uncorrected   -875 meV/atom

The structure in CIF format:
```
data_KBr3
_chemical_formula_sum 'K2 Br6'
_symmetry_space_group_name_H-M 'P m m n'
_symmetry_Int_Tables_number 59
_cell_length_a 6.571
_cell_length_b 8.219
_cell_length_c 5.849
_cell_angle_alpha 90.00
_cell_angle_beta 90.00
_cell_angle_gamma 90.00
loop_
_symmetry_equiv_pos_as_xyz
'x,y,z'
'-x,-y,-z'
'-x+1/2,-y+1/2,z'
'x+1/2,y+1/2,-z'
'x+1/2,-y,-z'
'-x+1/2,y,z'
'-x,y+1/2,-z'
'x,-y+1/2,z'
loop_
_atom_site_label
_atom_site_type_symbol
_atom_site_fract_x
_atom_site_fract_y
_atom_site_fract_z
K1 K 0.250 0.250 0.242
Br1 Br 0.250 0.063 0.742
Br2 Br 0.250 0.750 0.740
```

(5)
A plane-wave DFT calculation with PBEsol was carried out for a geometry-optimized K2Br structure.

Output
Excess energy over the best structure of this formula in the dataset   14 meV/atom
VASP energy   -29.52 eV/cell
Size of the total moment   0.00 μB/f.u.
Energy relative to the elements, uncorrected   -1081 meV/atom

The structure in CIF format:
```
data_K2Br
_chemical_formula_sum 'K8 Br4'
_symmetry_space_group_name_H-M 'C m c m'
_symmetry_Int_Tables_number 63
_symmetry_space_group_name_Hall '-C 2c 2'
_cell_length_a 4.604
_cell_length_b 18.769
_cell_length_c 6.661
_cell_angle_alpha 90.00
_cell_angle_beta 90.00
_cell_angle_gamma 90.00
loop_
_atom_site_label
_atom_site_type_symbol
_atom_site_fract_x
_atom_site_fract_y
_atom_site_fract_z
K1 K 0.000 0.071 0.250
K2 K 0.000 0.319 0.250
Br1 Br 0.000 0.303 0.750
```

(6)
A plane-wave DFT calculation with PBEsol was carried out for a geometry-optimized K2LaBr5 structure.

Output